Entries.
'''
(1)
# LaHo3Sb2, optimized geometry, DFT PBE-GGA
data_LaHo3Sb2
_symmetry_space_group_name_H-M 'P 1'
_symmetry_Int_Tables_number 1
_cell_length_a 4.365
_cell_length_b 10.646
_cell_length_c 9.779
_cell_angle_alpha 124.74
_cell_angle_beta 90.00
_cell_angle_gamma 101.83
loop_
_symmetry_equiv_pos_as_xyz
'x,y,z'
loop_
_atom_site_label
_atom_site_fract_x
_atom_site_fract_y
_atom_site_fract_z
La1 0.888 0.777 0.902
La2 0.112 0.223 0.098
Ho1 0.311 0.622 0.508
Ho2 0.942 0.885 0.559
Ho3 0.641 0.282 0.806
Ho4 0.359 0.718 0.194
Ho5 0.058 0.115 0.441
Ho6 0.689 0.378 0.492
Sb1 0.486 0.973 0.817
Sb2 0.514 0.027 0.183
Sb3 0.756 0.512 0.220
Sb4 0.244 0.488 0.780
# density of states at the Fermi level: 6.297 states/eV/f.u.
# E_tot: -5.19 eV/atom
# formation energy without anion corrections: -0.705 eV/atom


(2)
# La5HoSb6, optimized geometry, DFT PBE-GGA
data_La5HoSb6
_symmetry_space_group_name_H-M 'P 1'
_symmetry_Int_Tables_number 1
_cell_length_a 7.943
_cell_length_b 7.942
_cell_length_c 7.942
_cell_angle_alpha 60.00
_cell_angle_beta 80.39
_cell_angle_gamma 70.49
loop_
_symmetry_equiv_pos_as_xyz
'x,y,z'
loop_
_atom_site_label
_atom_site_fract_x
_atom_site_fract_y
_atom_site_fract_z
La1 0.500 0.169 0.662
La2 0.000 0.334 0.332
La3 0.500 0.500 0.000
La4 0.000 0.666 0.668
La5 0.500 0.831 0.338
Ho1 0.000 0.000 0.000
Sb1 0.756 0.081 0.326
Sb2 0.244 0.593 0.326
Sb3 0.247 0.243 0.000
Sb4 0.753 0.757 0.000
Sb5 0.756 0.407 0.674
Sb6 0.244 0.919 0.674
# density of states at the Fermi level: 1.046 states/eV/f.u.
# E_tot: -5.74 eV/atom
# formation energy without anion corrections: -1.242 eV/atom


(3)
# LaHo3Sb3, optimized geometry, DFT PBE-GGA
data_LaHo3Sb3
_symmetry_space_group_name_H-M 'P 1'
_symmetry_Int_Tables_number 1
_cell_length_a 9.177
_cell_length_b 9.177
_cell_length_c 8.098
_cell_angle_alpha 55.48
_cell_angle_beta 55.48
_cell_angle_gamma 60.00
loop_
_symmetry_equiv_pos_as_xyz
'x,y,z'
loop_
_atom_site_label
_atom_site_fract_x
_atom_site_fract_y
_atom_site_fract_z
La1 0.334 0.334 0.997
La2 0.666 0.666 0.003
Ho1 0.352 0.817 0.745
Ho2 0.817 0.087 0.745
Ho3 0.087 0.352 0.745
Ho4 0.913 0.648 0.255
Ho5 0.183 0.913 0.255
Ho6 0.648 0.183 0.255
Sb1 0.290 0.541 0.248
Sb2 0.921 0.290 0.248
Sb3 0.541 0.921 0.248
Sb4 0.459 0.079 0.752
Sb5 0.079 0.710 0.752
Sb6 0.710 0.459 0.752
# density of states at the Fermi level: 4.506 states/eV/f.u.
# E_tot: -5.32 eV/atom
# formation energy without anion corrections: -0.888 eV/atom


(4)
# La2HoSb, optimized geometry, DFT PBE-GGA
data_La2HoSb
_symmetry_space_group_name_H-M 'P 1'
_symmetry_Int_Tables_number 1
_cell_length_a 4.282
_cell_length_b 4.282
_cell_length_c 7.030
_cell_angle_alpha 90.00
_cell_angle_beta 90.00
_cell_angle_gamma 90.00
loop_
_symmetry_equiv_pos_as_xyz
'x,y,z'
loop_
_atom_site_label
_atom_site_fract_x
_atom_site_fract_y
_atom_site_fract_z
Sb1 0.500 0.500 0.500
Ho1 0.500 0.500 0.000
La1 0.000 0.000 0.726
La2 0.000 0.000 0.274
# density of states at the Fermi level: 5.581 states/eV/f.u.
# E_tot: -5.17 eV/atom
# formation energy without anion corrections: -0.528 eV/atom


(5)
# La2Ho2Sb5, optimized geometry, DFT PBE-GGA
data_La2Ho2Sb5
_symmetry_space_group_name_H-M 'P 1'
_symmetry_Int_Tables_number 1
_cell_length_a 8.275
_cell_length_b 9.105
_cell_length_c 9.105
_cell_angle_alpha 126.61
_cell_angle_beta 90.00
_cell_angle_gamma 90.00
loop_
_symmetry_equiv_pos_as_xyz
'x,y,z'
loop_
_atom_site_label
_atom_site_fract_x
_atom_site_fract_y
_atom_site_fract_z
La1 0.000 0.809 0.191
La2 0.500 0.309 0.691
La3 0.000 0.191 0.809
La4 0.500 0.691 0.309
Ho1 0.340 0.157 0.157
Ho2 0.660 0.843 0.843
Ho3 0.840 0.343 0.343
Ho4 0.160 0.657 0.657
Sb1 0.000 0.000 0.000
Sb2 0.500 0.500 0.500
Sb3 0.140 0.228 0.493
Sb4 0.860 0.507 0.772
Sb5 0.640 0.007 0.272
Sb6 0.360 0.728 0.993
Sb7 0.860 0.772 0.507
Sb8 0.140 0.493 0.228
Sb9 0.360 0.993 0.728
Sb10 0.640 0.272 0.007
# density of states at the Fermi level: 7.277 states/eV/f.u.
# E_tot: -5.33 eV/atom
# formation energy without anion corrections: -0.927 eV/atom


(6)
'''

Assignment.
Work out how many lines earlier on have the word "Ho2" in them; a number is enough.

Reply.
3